Department Raffles

Department Raffles

Current: 50/50 Raffle, click here to enter now!

The American Legion, Department of Florida supports over twenty-seven programs aimed at helping Florida’s veterans, their families, and their communities through our 4 Pillars on which we were founded: Veterans Affairs & Rehabilitation, National Security, Americanism, and Children & Youth.

To continue our efforts, we rely on the generosity of our members and our patriots through a variety of fundraisers throughout the year. Our raffles are just one way we raise funds to offset the costs of our programs and services. Plus, we are able to award a variety of CASH PRIZES to the winners. It’s truly a win-win for all!

Our raffles are open to any Florida participant who is eighteen (18) years and older. Employees of The American Legion, National Headquarters and The American Legion, Department of Florida and their family members and household residents are not eligible to enter.

You made a difference…

Look at what we were able to accomplish in our last year because of your generosity!

2023-2024 Impact

Download impact report.

-- begin --
1.
# SmDy4Ho2Mg
Theoretical powder diffraction line list, copper Kα. Input: a DFT-relaxed cell (PBE, Alexandria).

Most intense lines, 2θ = 10–80°, sorted by position:
Position (°2θ), I/Imax
31.19, 100
35.94, 17
36.28, 33
52.00, 24
52.25, 12
61.66, 14
62.12, 28
65.05, 12

Structural model:
```
data_SmDy4Ho2Mg
_chemical_formula_sum 'Sm1 Dy4 Ho2 Mg1'
_space_group_name_H-M_alt 'P 1'
_space_group_IT_number 1
_space_group_name_Hall 'P 1'
_cell_length_a 4.9520
_cell_length_b 4.9520
_cell_length_c 9.9946
_cell_angle_alpha 90.00
_cell_angle_beta 90.00
_cell_angle_gamma 90.00
loop_
_atom_site_label
_atom_site_fract_x
_atom_site_fract_y
_atom_site_fract_z
_atom_site_occupancy
Sm1 0.0000 0.0000 0.0000 1
Dy1 0.0000 0.5000 0.2539 1
Dy2 0.0000 0.5000 0.7461 1
Dy3 0.5000 0.0000 0.2539 1
Dy4 0.5000 0.0000 0.7461 1
Ho1 0.0000 0.0000 0.5000 1
Ho2 0.5000 0.5000 0.0000 1
Mg1 0.5000 0.5000 0.5000 1
```

2.
# Nb6VGa
Theoretical powder diffraction line list, copper Kα. Input: a DFT-relaxed cell (PBE, Alexandria).

Most intense lines, 2θ = 10–80°, sorted by position:
Position (°2θ), I/Imax
24.25, 5
34.56, 24
38.79, 100
42.66, 51
61.92, 11
64.75, 21
67.51, 25
72.89, 12

Structural model:
```
data_Nb6VGa
_chemical_formula_sum 'Nb6 V1 Ga1'
_space_group_name_H-M_alt 'P 1'
_space_group_IT_number 1
_space_group_name_Hall 'P 1'
_cell_length_a 5.1911
_cell_length_b 5.1911
_cell_length_c 5.1911
_cell_angle_alpha 89.96
_cell_angle_beta 89.96
_cell_angle_gamma 89.96
loop_
_atom_site_label
_atom_site_fract_x
_atom_site_fract_y
_atom_site_fract_z
_atom_site_occupancy
Nb1 0.0003 0.2544 0.4993 1
Nb2 0.9997 0.7456 0.5007 1
Nb3 0.2544 0.4993 0.0003 1
Nb4 0.4993 0.0003 0.2544 1
Nb5 0.5007 0.9997 0.7456 1
Nb6 0.7456 0.5007 0.9997 1
V1 0.5000 0.5000 0.5000 1
Ga1 0.0000 0.0000 0.0000 1
```

3.
# Li27As10
Theoretical powder diffraction line list, copper Kα. Input: a DFT-relaxed cell (PBE, Alexandria).

Most intense lines, 2θ = 10–80°, sorted by position:
Position (°2θ), I/Imax
25.25, 100
29.09, 32
29.54, 15
41.60, 20
41.91, 18
41.96, 19
49.29, 31
66.90, 11

Structural model:
```
data_Li27As10
_chemical_formula_sum 'Li27 As10'
_space_group_name_H-M_alt 'P 1'
_space_group_IT_number 1
_space_group_name_Hall 'P 1'
_cell_length_a 11.4679
_cell_length_b 11.4679
_cell_length_c 7.4515
_cell_angle_alpha 95.95
_cell_angle_beta 95.95
_cell_angle_gamma 142.13
loop_
_atom_site_label
_atom_site_fract_x
_atom_site_fract_y
_atom_site_fract_z
_atom_site_occupancy
Li1 0.0000 0.0000 0.0000 1
Li2 0.0091 0.2234 0.8832 1
Li3 0.0878 0.6846 0.6495 1
Li4 0.1032 0.8968 0.5000 1
Li5 0.1467 0.1467 0.3842 1
Li6 0.1552 0.5672 0.1130 1
Li7 0.2234 0.0091 0.8832 1
Li8 0.2904 0.4714 0.6168 1
Li9 0.3051 0.6949 0.5000 1
Li10 0.3154 0.9122 0.3505 1
Li11 0.3864 0.3864 0.1457 1
Li12 0.3966 0.6034 0.0000 1
Li13 0.4328 0.8448 0.8870 1
Li14 0.4714 0.2904 0.6168 1
Li15 0.5286 0.7096 0.3832 1
Li16 0.5672 0.1552 0.1130 1
Li17 0.6034 0.3966 0.0000 1
Li18 0.6136 0.6136 0.8543 1
Li19 0.6846 0.0878 0.6495 1
Li20 0.6949 0.3051 0.5000 1
-- stop --

Learn More About Our Raffles

Click an arrow below to learn more about that raffle.

Spring and Fall Raffles

Spring and Fall Raffles

Department hosts two traditional raffles annually, one in the Spring prior to our Convention, and the second in the Fall prior to our Conference. Tickets are mailed prior to these events but are also available online. Recipients are asked to send in their donations and tickets to enter for a chance to win. A live drawing will determine ten lucky winners at each event, where winners receive up to $10,000! If you’d like to be a part of the initial mailing, please fill out the packet request form.

50/50 Online Raffle

50/50 Online Raffle

Our online 50/50 raffles are held on a regular basis, where the prize pool continues to grow with every entry. Any additional or special drawing, such as an early bird drawing, will be announced before the start of any drawing, as there is always more than one way to win! The main prize pool winner will be selected at the end of each Entry Period and will receive half of the prize pool raised. The other half is shared between Department and selected Florida Legion Posts.

Posts are encouraged to promote this raffle, as they too can benefit! Participants can select their local Post to receive a portion of their donations. The home Post of the prize pool winner gets an additional bonus, too!

This raffle is conducted completely online and is ongoing through the year!